_Input_
<<<
The following is a simulated X-ray diffraction stick pattern of RbV4In3O12. It was derived from a DFT-relaxed cell (GGA+U, Alexandria), using λ = 1.5418 Å (Cu Kα).
Neutral-atom scattering factors, no anomalous dispersion.

Largest 12 diffraction maxima, in order of rising 2θ, 10 to 90 degrees two-theta:
2θ 15.2, d 5.821, intensity 25
2θ 20.8, d 4.272, intensity 22
2θ 25.9, d 3.444, intensity 46
2θ 28.4, d 3.144, intensity 100
2θ 30.7, d 2.911, intensity 27
2θ 33.9, d 2.641, intensity 31
2θ 36.9, d 2.435, intensity 19
2θ 39.2, d 2.296, intensity 23
2θ 48.8, d 1.868, intensity 19
2θ 50.6, d 1.803, intensity 15
2θ 53.9, d 1.701, intensity 15
2θ 57.0, d 1.614, intensity 21

Crystal structure
```
20
Lattice="5.8211 3.3608 2.6813 -5.8211 3.3608 2.6813 0.0000 -6.7216 2.6813" Properties=species:S:1:pos:R:3 pbc="T T T"
Rb 0.0000 0.0000 0.0000
V -2.5369 -4.3941 4.0219
V 0.0000 0.0000 4.0219
V -2.5369 4.3941 4.0219
V 5.0739 0.0000 4.0219
In -3.2868 -1.0288 2.6813
In -3.2867 1.0288 5.3625
In 0.7524 3.3608 2.6813
>>>

_Wanted_
Type out the lines earlier on from the one with "anomalous dispersion." to the one with "33.9," with every line break kept.

_Here it is_
Neutral-atom scattering factors, no anomalous dispersion.

Largest 12 diffraction maxima, in order of rising 2θ, 10 to 90 degrees two-theta:
2θ 15.2, d 5.821, intensity 25
2θ 20.8, d 4.272, intensity 22
2θ 25.9, d 3.444, intensity 46
2θ 28.4, d 3.144, intensity 100
2θ 30.7, d 2.911, intensity 27
2θ 33.9, d 2.641, intensity 31